Activity:
Copy all of the rows further below with every line break kept.

Source:
┌──
# 1
Simulated X-ray powder pattern of YGe2SbO8 for Cu Kα (weighted mean of Kα1 and Kα2), from DFT lattice parameters and positions (GGA-PBE).

The 10 most intense peaks (2θ from 5° to 70°), sorted by position:
2theta  I (rel.)  index
19.07  8.4  1 0 1
25.78  100.0  2 0 0
33.88  67.7  1 1 2
36.78  19.5  2 2 0
41.75  5.6  3 0 1
50.86  60.7  3 1 2
53.00  15.5  4 0 0
59.84  12.8  4 2 0
64.40  18.7  3 3 2
65.13  12.7  2 0 4

Structure:
a = 6.912 Å, b = 6.912 Å, c = 6.295 Å
α = 90.00°, β = 90.00°, γ = 90.00°
Space group I-4m2 (No. 119)
Inequivalent atoms, fractional coordinates:
Y: 0.000 0.000 0.000 x2
Ge: 0.000 0.000 0.500 x2
Ge: 0.000 0.500 0.750 x2
Sb: 0.000 0.500 0.250 x2
O: 0.000 0.193 0.313 x8
O: 0.000 0.324 0.954 x8

# 2
Simulated X-ray powder pattern of ThScGe2O8 for Cu Kα (weighted mean of Kα1 and Kα2), from DFT lattice parameters and positions (GGA-PBE).

The 10 most intense peaks (2θ from 5° to 70°), sorted by position:
2theta  I (rel.)  index
17.89  32.6  1 1 0
18.56  44.8  1 0 1
25.40  100.0  2 0 0
31.64  21.0  2 1 1
32.82  77.4  1 1 2
36.23  22.0  2 2 0
37.62  14.7  2 0 2
49.68  64.0  3 1 2
52.17  15.9  4 0 0
63.02  18.9  3 3 2

Structure:
a = 7.013 Å, b = 7.013 Å, c = 6.537 Å
α = 90.00°, β = 90.00°, γ = 90.00°
Space group I-4m2 (No. 119)
Inequivalent atoms, fractional coordinates:
Th: 0.000 0.000 0.000 x2
Sc: 0.000 0.500 0.250 x2
Ge: 0.000 0.000 0.500 x2
Ge: 0.000 0.500 0.750 x2
O: 0.000 0.192 0.321 x8
O: 0.000 0.322 0.940 x8

# 3
Simulated X-ray powder pattern of SrGeSe2O8 for Cu Kα (weighted mean of Kα1 and Kα2), from DFT lattice parameters and positions (GGA-PBE).

The 10 most intense peaks (2θ from 5° to 70°), sorted by position:
2theta  I (rel.)  index
14.85  14.3  0 0 1
25.27  100.0  1 1 1
27.49  17.3  2 0 1
29.45  36.8  2 0 -2
30.87  42.5  0 2 0
31.00  79.0  3 1 -1
39.35  13.1  3 1 1
43.19  26.5  2 2 -2
46.13  21.7  1 1 -3
54.98  17.0  3 3 -1

Structure:
a = 10.201 Å, b = 5.793 Å, c = 6.336 Å
α = 90.00°, β = 109.69°, γ = 90.00°
Space group C2/m (No. 12)
Inequivalent atoms, fractional coordinates:
Sr: 0.000 0.000 0.000 x2
Ge: 0.000 0.500 0.500 x2
Se: 0.207 0.000 0.673 x4
O: 0.119 0.500 0.217 x4
O: 0.136 0.228 0.763 x8
O: 0.162 0.000 0.397 x4

# 4
Simulated X-ray powder pattern of Si2GeO for Cu Kα (weighted mean of Kα1 and Kα2), from DFT lattice parameters and positions (GGA-PBE).

The 10 most intense peaks (2θ from 5° to 70°), sorted by position:
2theta  I (rel.)  index
20.92  12.6  1 0 1
29.61  38.3  1 0 3
31.57  100.0  1 1 2
39.77  7.7  2 0 0
42.27  14.7  1 0 5
45.35  29.1  2 1 1
50.28  46.1  2 0 4
53.62  20.5  1 1 6
57.50  8.9  2 2 0
67.09  16.2  3 1 2

Structure:
a = 4.533 Å, b = 4.533 Å, c = 12.123 Å
α = 90.00°, β = 90.00°, γ = 90.00°
Space group I-42d (No. 122)
Inequivalent atoms, fractional coordinates:
Si: 0.146 0.250 0.125 x8
Ge: 0.000 0.000 0.500 x4
O: 0.000 0.000 0.000 x4

# 5
Simulated X-ray powder pattern of SmGe2O6 for Cu Kα (weighted mean of Kα1 and Kα2), from DFT lattice parameters and positions (GGA-PBE).

The 10 most intense peaks (2θ from 5° to 70°), sorted by position:
2theta  I (rel.)  index
12.17  68.2  1 1 0
17.93  36.7  0 2 0
18.25  87.8  1 1 -1
21.82  20.4  1 1 1
26.52  57.5  3 1 0
26.76  100.0  2 2 -1
31.76  55.5  2 2 1
32.20  31.4  0 0 2
36.39  23.9  3 1 -2
36.65  26.9  1 1 2

Structure:
a = 11.126 Å, b = 9.893 Å, c = 5.770 Å
α = 90.00°, β = 105.52°, γ = 90.00°
Space group C2/c (No. 15)
Inequivalent atoms, fractional coordinates:
Sm: 0.000 0.120 0.250 x4
Ge: 0.220 0.431 0.297 x8
O: 0.117 0.044 0.621 x8
O: 0.149 0.478 0.994 x8
O: 0.178 0.259 0.310 x8

# 6
Simulated X-ray powder pattern of Sm2Ge2O7 for Cu Kα (weighted mean of Kα1 and Kα2), from DFT lattice parameters and positions (GGA-PBE).

The 10 most intense peaks (2θ from 5° to 70°), sorted by position:
2theta  I (rel.)  index
14.45  33.9  1 0 1
26.44  83.7  2 0 1
27.97  82.4  0 0 4
28.55  29.7  2 1 0
29.41  44.4  2 1 1
31.87  100.0  2 1 2
33.17  39.5  2 0 3
47.42  43.1  3 2 1
52.01  36.2  2 1 6
60.39  25.2  4 0 4

Structure:
└──

Result:
# 1
Simulated X-ray powder pattern of YGe2SbO8 for Cu Kα (weighted mean of Kα1 and Kα2), from DFT lattice parameters and positions (GGA-PBE).

The 10 most intense peaks (2θ from 5° to 70°), sorted by position:
2theta  I (rel.)  index
19.07  8.4  1 0 1
25.78  100.0  2 0 0
33.88  67.7  1 1 2
36.78  19.5  2 2 0
41.75  5.6  3 0 1
50.86  60.7  3 1 2
53.00  15.5  4 0 0
59.84  12.8  4 2 0
64.40  18.7  3 3 2
65.13  12.7  2 0 4

Structure:
a = 6.912 Å, b = 6.912 Å, c = 6.295 Å
α = 90.00°, β = 90.00°, γ = 90.00°
Space group I-4m2 (No. 119)
Inequivalent atoms, fractional coordinates:
Y: 0.000 0.000 0.000 x2
Ge: 0.000 0.000 0.500 x2
Ge: 0.000 0.500 0.750 x2
Sb: 0.000 0.500 0.250 x2
O: 0.000 0.193 0.313 x8
O: 0.000 0.324 0.954 x8

# 2
Simulated X-ray powder pattern of ThScGe2O8 for Cu Kα (weighted mean of Kα1 and Kα2), from DFT lattice parameters and positions (GGA-PBE).

The 10 most intense peaks (2θ from 5° to 70°), sorted by position:
2theta  I (rel.)  index
17.89  32.6  1 1 0
18.56  44.8  1 0 1
25.40  100.0  2 0 0
31.64  21.0  2 1 1
32.82  77.4  1 1 2
36.23  22.0  2 2 0
37.62  14.7  2 0 2
49.68  64.0  3 1 2
52.17  15.9  4 0 0
63.02  18.9  3 3 2

Structure:
a = 7.013 Å, b = 7.013 Å, c = 6.537 Å
α = 90.00°, β = 90.00°, γ = 90.00°
Space group I-4m2 (No. 119)
Inequivalent atoms, fractional coordinates:
Th: 0.000 0.000 0.000 x2
Sc: 0.000 0.500 0.250 x2
Ge: 0.000 0.000 0.500 x2
Ge: 0.000 0.500 0.750 x2
O: 0.000 0.192 0.321 x8
O: 0.000 0.322 0.940 x8

# 3
Simulated X-ray powder pattern of SrGeSe2O8 for Cu Kα (weighted mean of Kα1 and Kα2), from DFT lattice parameters and positions (GGA-PBE).

The 10 most intense peaks (2θ from 5° to 70°), sorted by position:
2theta  I (rel.)  index
14.85  14.3  0 0 1
25.27  100.0  1 1 1
27.49  17.3  2 0 1
29.45  36.8  2 0 -2
30.87  42.5  0 2 0
31.00  79.0  3 1 -1
39.35  13.1  3 1 1
43.19  26.5  2 2 -2
46.13  21.7  1 1 -3
54.98  17.0  3 3 -1

Structure:
a = 10.201 Å, b = 5.793 Å, c = 6.336 Å
α = 90.00°, β = 109.69°, γ = 90.00°
Space group C2/m (No. 12)
Inequivalent atoms, fractional coordinates:
Sr: 0.000 0.000 0.000 x2
Ge: 0.000 0.500 0.500 x2
Se: 0.207 0.000 0.673 x4
O: 0.119 0.500 0.217 x4
O: 0.136 0.228 0.763 x8
O: 0.162 0.000 0.397 x4

# 4
Simulated X-ray powder pattern of Si2GeO for Cu Kα (weighted mean of Kα1 and Kα2), from DFT lattice parameters and positions (GGA-PBE).

The 10 most intense peaks (2θ from 5° to 70°), sorted by position:
2theta  I (rel.)  index
20.92  12.6  1 0 1
29.61  38.3  1 0 3
31.57  100.0  1 1 2
39.77  7.7  2 0 0
42.27  14.7  1 0 5
45.35  29.1  2 1 1
50.28  46.1  2 0 4
53.62  20.5  1 1 6
57.50  8.9  2 2 0
67.09  16.2  3 1 2

Structure:
a = 4.533 Å, b = 4.533 Å, c = 12.123 Å
α = 90.00°, β = 90.00°, γ = 90.00°
Space group I-42d (No. 122)
Inequivalent atoms, fractional coordinates:
Si: 0.146 0.250 0.125 x8
Ge: 0.000 0.000 0.500 x4
O: 0.000 0.000 0.000 x4

# 5
Simulated X-ray powder pattern of SmGe2O6 for Cu Kα (weighted mean of Kα1 and Kα2), from DFT lattice parameters and positions (GGA-PBE).

The 10 most intense peaks (2θ from 5° to 70°), sorted by position:
2theta  I (rel.)  index
12.17  68.2  1 1 0
17.93  36.7  0 2 0
18.25  87.8  1 1 -1
21.82  20.4  1 1 1
26.52  57.5  3 1 0
26.76  100.0  2 2 -1
31.76  55.5  2 2 1
32.20  31.4  0 0 2
36.39  23.9  3 1 -2
36.65  26.9  1 1 2

Structure:
a = 11.126 Å, b = 9.893 Å, c = 5.770 Å
α = 90.00°, β = 105.52°, γ = 90.00°
Space group C2/c (No. 15)
Inequivalent atoms, fractional coordinates:
Sm: 0.000 0.120 0.250 x4
Ge: 0.220 0.431 0.297 x8
O: 0.117 0.044 0.621 x8
O: 0.149 0.478 0.994 x8
O: 0.178 0.259 0.310 x8

# 6
Simulated X-ray powder pattern of Sm2Ge2O7 for Cu Kα (weighted mean of Kα1 and Kα2), from DFT lattice parameters and positions (GGA-PBE).

The 10 most intense peaks (2θ from 5° to 70°), sorted by position:
2theta  I (rel.)  index
14.45  33.9  1 0 1
26.44  83.7  2 0 1
27.97  82.4  0 0 4
28.55  29.7  2 1 0
29.41  44.4  2 1 1
31.87  100.0  2 1 2
33.17  39.5  2 0 3
47.42  43.1  3 2 1
52.01  36.2  2 1 6
60.39  25.2  4 0 4

Structure: